Facebook spoke with hospitals about matching health data to anonymized profiles

  News, Rassegna Stampa

Facebook began speaking with hospitals last year about the possibility of matching anonymized user profiles with health data in an effort to improve medical care, according to a CNBC report exposing the program. Facebook confirmed its work to CNBC but said it had hit “pause” on the program last month — presumably following the Cambridge Analytica scandal — to focus on “doing a better job of protecting people’s data” and being clearer about how it’s used.

The plan had been to get hospitals to share anonymized medical information — such as health issues and age, but not name — and match it up with anonymized Facebook accounts that appeared to belong to those same people, according to the report. It would then somehow use insights from users’ Facebook behavior to inform medical treatments. In one example CNBC gives, it says Facebook might have determined that an elderly user didn’t have many local friends, so a hospital may want to send a nurse to check in on them while recovering from a surgery.

In a statement to CNBC, Facebook said, “This work has not progressed past the planning phase, and we have not received, shared, or analyzed anyone’s data.”

Though the report makes it sound like the data would be customized to specific patients, Facebook said in an email to The Verge that it would instead be used more generally. “The project would not attempt to provide health recommendations for specific people,” a spokesperson said. “Instead the focus would be on producing general insights that would help medical professionals take social connectedness into account as they develop treatment or intervention programs for their patients.”

This probably wasn’t a great idea even without the privacy scandal from Cambridge Analytica engulfing the company. Essentially, Facebook proposed collecting medical data without users’ permission, then secretly pairing it to their profiles. That is an immense violation of privacy.

Though Facebook was going through medical channels to receive the data — it was in talks with organizations including the Stanford Medical School and the American College of Cardiology, according to CNBC — it sounded like patients would not have needed to consent to their information being shared.

........
(1)
First-principles (PBE) data for an optimized crystal structure of SbAuS3, as listed in OQMD via LeMat-Bulk.

a b c (Å): 6.478 6.478 7.740
angles (deg): 101.25 101.25 121.01
Sites, in units of the cell vectors:
Sb1 0.154 0.846 0.000
Sb2 0.846 0.154 0.000
Au1 0.206 0.794 0.500
Au2 0.794 0.206 0.500
S1 0.078 0.419 0.806
S2 0.240 0.240 0.218
S3 0.419 0.078 0.806
S4 0.581 0.922 0.194
S5 0.760 0.760 0.782
S6 0.922 0.581 0.194



(2)
First-principles (PBE) data for an optimized crystal structure of SbAu3Se2S2, as listed in OQMD via LeMat-Bulk.

a b c (Å): 7.234 7.234 5.946
angles (deg): 113.95 113.95 48.34
Sites, in units of the cell vectors:
Sb1 0.000 0.000 0.000
Au1 0.265 0.235 0.772
Au2 0.538 0.462 0.500
Au3 0.765 0.735 0.228
Se1 0.139 0.605 0.618
Se2 0.395 0.861 0.382
S1 0.632 0.114 0.127
S2 0.886 0.368 0.873



(3)
First-principles (PBE) data for an optimized crystal structure of ScAuS2, as listed in OQMD via LeMat-Bulk.

Summary:
The total magnetization comes out at 0.0 Bohr magnetons per cell.

a b c (Å): 7.664 7.664 7.664
angles (deg): 28.77 28.77 28.77
Sites, in units of the cell vectors:
Sc1 0.000 0.000 0.000
Au1 0.500 0.500 0.500
S1 0.395 0.395 0.395
S2 0.605 0.605 0.605



Short version: raw total energy = -3.9812 -3.6012 -5.6666 eV/atom, in the order given.

=====

[1]
# BeHgF3 (GGA-PBE, relaxed)
# * space group: Pm-3m, No. 221
# * formation energy without anion corrections: -593 meV/atom
# * volume: 18.61 Å³/atom
# * electronic total energy: -2.52 eV per atom
data_BeHgF3
_space_group_name_H-M_alt 'P 1'
_space_group_IT_number 1
_cell_length_a 4.532
_cell_length_b 4.532
_cell_length_c 4.532
_cell_angle_alpha 90.00
_cell_angle_beta 90.00
_cell_angle_gamma 90.00
loop_
_space_group_symop_operation_xyz
'x,y,z'
loop_
_atom_site_label
_atom_site_type_symbol
_atom_site_fract_x
_atom_site_fract_y
_atom_site_fract_z
Hg1 Hg 0.000 0.000 0.000
Be1 Be 0.500 0.500 0.500
F1 F 0.000 0.500 0.000
F2 F 0.500 0.000 0.000
F3 F 0.000 0.000 0.500


[2]
# ZrReTe2N (GGA-PBE, relaxed)
# * space group: P4/mmm, No. 123
# * formation energy without anion corrections: 989 meV/atom
# * volume: 25.68 Å³/atom
# * electronic total energy: -6.13 eV per atom
data_ZrReTe2N
_space_group_name_H-M_alt 'P 1'
_space_group_IT_number 1
_cell_length_a 5.696
_cell_length_b 5.696
_cell_length_c 3.958
_cell_angle_alpha 90.00
_cell_angle_beta 90.00
_cell_angle_gamma 90.00
loop_
_space_group_symop_operation_xyz
'x,y,z'
loop_
_atom_site_label
_atom_site_type_symbol
_atom_site_fract_x
_atom_site_fract_y
_atom_site_fract_z
Zr1 Zr 0.000 0.000 0.000
Te1 Te 0.500 0.000 0.000
Te2 Te 0.000 0.500 0.000
Re1 Re 0.500 0.500 0.500
N1 N 0.000 0.000 0.500


[3]
# AgBi2Pd7 (GGA-PBE, relaxed)
# * space group: Cmmm, No. 65
# * calculated formation energy: 0.09 eV per atom
# * volume: 20.23 Å³/atom
# * electronic total energy: -4.61 eV per atom
data_AgBi2Pd7
_space_group_name_H-M_alt 'P 1'
_space_group_IT_number 1
_cell_length_a 3.014
_cell_length_b 9.068
_cell_length_c 9.068
_cell_angle_alpha 125.29
........

Facebook tells us that there would have been no “de-anonymizing of data” and that data “access would theoretically be limited to select people from Facebook and our medical research partners at the [American College of Cardiology].”

Here’s the explanation Facebook gave CNBC for its motivation behind this program:

“The medical industry has long understood that there are general health benefits to having a close-knit circle of family and friends. But deeper research into this link is needed to help medical professionals develop specific treatment and intervention plans that take social connection into account. With this in mind, last year Facebook began discussions … to explore whether scientific research using anonymized Facebook data could help the medical community advance our understanding in this area.”

Cathy Gates, the interim CEO of the American College of Cardiology, also gave CNBC a statement, which added, “This partnership is in the very early phases as we work on both sides to ensure privacy, transparency and scientific rigor.”

Facebook had initially focused its research on cardiovascular health. None of the statements make it sound like Facebook is putting an end to the program. Any medical organization that has been in talks with Facebook would be wise to consider carefully the privacy scandal still roiling the company.
